== Input ==
┌──
Density functional theory data (PBE-GGA) for a relaxed structure of BaLi10Cd.

The value obtained for the raw total energy is -0.066 hartree per atom. As for the symmetry: Pmmm, No. 47. The value obtained for the formation energy is 3.35 kJ per mole of atoms.

Cell lengths 4.848, 5.834, 10.128 Å; angles 90.00, 90.00, 90.00 degrees
Sites, in units of the cell vectors:
Ba 0.000 0.000 0.000
Cd 0.000 0.500 0.500
Li 0.500 0.733 0.284
Li 0.500 0.267 0.284
Li 0.500 0.500 0.000
Li 0.500 0.000 0.500
Li 0.000 0.000 0.640
Li 0.000 0.500 0.210
Li 0.500 0.733 0.716
Li 0.500 0.267 0.716
Li 0.000 0.500 0.790
Li 0.000 0.000 0.360

=====

Here is a relaxed structure of YMn from Alexandria via LeMat-Bulk. Energies are from PBE-GGA.

Cell: 11.0568 3.3129 5.1471 Å, 90.00 108.20 90.00°
Space group C2/m (No. 12)
Unique sites:
1 Y 0.1054 0.0000 0.3213 (multiplicity 4)
2 Mn 0.1556 0.5000 0.8586 (multiplicity 4)

Values from the calculation:
- Energy of formation from the pure elements: 0.25 eV per atom
- V: 179.1 Å³ per cell
- Magnetic moment: 3.031 μB per formula unit

=====

Here is a relaxed structure of YMn12 from Alexandria via LeMat-Bulk. Energies are from PBE-GGA.

Cell: 8.2726 8.2726 4.7072 Å, 90.00 90.00 90.00°
Space group I4/mmm (No. 139)
Unique sites:
1 Y 0.0000 0.0000 0.0000 (multiplicity 2)
2 Mn 0.0000 0.2297 0.5000 (multiplicity 8)
3 Mn 0.0000 0.3653 0.0000 (multiplicity 8)
4 Mn 0.2500 0.2500 0.2500 (multiplicity 8)

Values from the calculation:
- Energy of formation from the pure elements: 0.01 eV per atom
- V: 322.1 Å³ per cell
- Magnetic moment: 2.602 μB per formula unit

=====

Here is a relaxed structure of YMn3Zn from Alexandria via LeMat-Bulk. Energies are from PBE-GGA.

Cell: 4.9332 4.9332 4.9332 Å, 90.00 90.00 90.00°
Space group Pm-3m (No. 221)
Unique sites:
1 Y 0.0000 0.0000 0.0000 (multiplicity 1)
2 Mn 0.0000 0.0000 0.5000 (multiplicity 3)
3 Zn 0.5000 0.5000 0.5000 (multiplicity 1)

Values from the calculation:
- Energy of formation from the pure elements: 1.66 eV per atom
- Relative energy among the computed polymorphs: 98.8 kJ per mole of atoms
- V: 120.1 Å³ per cell
- Magnetic moment: 10.399 μB per formula unit

=====

Here is a relaxed structure of YMn2Zn from Alexandria via LeMat-Bulk. Energies are from PBE-GGA.

Cell: 3.1520 4.3871 5.5180 Å, 90.00 102.19 90.00°
Space group P2/m (No. 10)
Unique sites:
1 Y 0.0000 0.0000 0.0000 (multiplicity 1)
2 Mn 0.3456 0.5000 0.7182 (multiplicity 2)
3 Zn 0.5000 0.0000 0.5000 (multiplicity 1)

Values from the calculation:
- Energy of formation from the pure elements: 0.27 eV per atom
- V: 74.6 Å³ per cell
- Magnetic moment: 6.660 μB per formula unit

=====

Here is a relaxed structure of YMnZn from Alexandria via LeMat-Bulk. Energies are from PBE-GGA.

Cell: 4.4945 4.4945 3.5113 Å, 90.00 90.00 120.00°
Space group P-6m2 (No. 187)
Unique sites:
1 Y 0.0000 0.0000 0.0000 (multiplicity 1)
2 Mn 0.3333 0.6667 0.5000 (multiplicity 1)
3 Zn 0.6667 0.3333 0.5000 (multiplicity 1)

Values from the calculation:
- Energy of formation from the pure elements: -0.04 eV per atom
- V: 61.4 Å³ per cell
- Magnetic moment: 3.139 μB per formula unit

=====

Here is a relaxed structure of YMnZn from Alexandria via LeMat-Bulk. Energies are from PBE-GGA.

Cell: 6.5142 6.5142 6.5142 Å, 90.00 90.00 90.00°
Space group F-43m (No. 216)
Unique sites:
1 Y 0.0000 0.0000 0.0000 (multiplicity 4)
2 Mn 0.0000 0.0000 0.5000 (multiplicity 4)
3 Zn 0.2500 0.2500 0.2500 (multiplicity 4)

Values from the calculation:
- Energy of formation from the pure elements: 0.26 eV per atom
- V: 276.4 Å³ per cell
- Magnetic moment: 3.684 μB per formula unit

=====

Here is a relaxed structure of YMnZn3 from Alexandria via LeMat-Bulk. Energies are from PBE-GGA.

Cell: 4.6183 4.6183 4.6183 Å, 90.00 90.00 90.00°
Space group Pm-3m (No. 221)
Unique sites:
1 Y 0.0000 0.0000 0.0000 (multiplicity 1)
2 Mn 0.5000 0.5000 0.5000 (multiplicity 1)
3 Zn 0.0000 0.5000 0.5000 (multiplicity 3)

Values from the calculation:
└──

== Activity ==
Transcribe all of the block above with every line break kept.

== Solution ==
Density functional theory data (PBE-GGA) for a relaxed structure of BaLi10Cd.

The value obtained for the raw total energy is -0.066 hartree per atom. As for the symmetry: Pmmm, No. 47. The value obtained for the formation energy is 3.35 kJ per mole of atoms.

Cell lengths 4.848, 5.834, 10.128 Å; angles 90.00, 90.00, 90.00 degrees
Sites, in units of the cell vectors:
Ba 0.000 0.000 0.000
Cd 0.000 0.500 0.500
Li 0.500 0.733 0.284
Li 0.500 0.267 0.284
Li 0.500 0.500 0.000
Li 0.500 0.000 0.500
Li 0.000 0.000 0.640
Li 0.000 0.500 0.210
Li 0.500 0.733 0.716
Li 0.500 0.267 0.716
Li 0.000 0.500 0.790
Li 0.000 0.000 0.360

=====

Here is a relaxed structure of YMn from Alexandria via LeMat-Bulk. Energies are from PBE-GGA.

Cell: 11.0568 3.3129 5.1471 Å, 90.00 108.20 90.00°
Space group C2/m (No. 12)
Unique sites:
1 Y 0.1054 0.0000 0.3213 (multiplicity 4)
2 Mn 0.1556 0.5000 0.8586 (multiplicity 4)

Values from the calculation:
- Energy of formation from the pure elements: 0.25 eV per atom
- V: 179.1 Å³ per cell
- Magnetic moment: 3.031 μB per formula unit

=====

Here is a relaxed structure of YMn12 from Alexandria via LeMat-Bulk. Energies are from PBE-GGA.

Cell: 8.2726 8.2726 4.7072 Å, 90.00 90.00 90.00°
Space group I4/mmm (No. 139)
Unique sites:
1 Y 0.0000 0.0000 0.0000 (multiplicity 2)
2 Mn 0.0000 0.2297 0.5000 (multiplicity 8)
3 Mn 0.0000 0.3653 0.0000 (multiplicity 8)
4 Mn 0.2500 0.2500 0.2500 (multiplicity 8)

Values from the calculation:
- Energy of formation from the pure elements: 0.01 eV per atom
- V: 322.1 Å³ per cell
- Magnetic moment: 2.602 μB per formula unit

=====

Here is a relaxed structure of YMn3Zn from Alexandria via LeMat-Bulk. Energies are from PBE-GGA.

Cell: 4.9332 4.9332 4.9332 Å, 90.00 90.00 90.00°
Space group Pm-3m (No. 221)
Unique sites:
1 Y 0.0000 0.0000 0.0000 (multiplicity 1)
2 Mn 0.0000 0.0000 0.5000 (multiplicity 3)
3 Zn 0.5000 0.5000 0.5000 (multiplicity 1)

Values from the calculation:
- Energy of formation from the pure elements: 1.66 eV per atom
- Relative energy among the computed polymorphs: 98.8 kJ per mole of atoms
- V: 120.1 Å³ per cell
- Magnetic moment: 10.399 μB per formula unit

=====

Here is a relaxed structure of YMn2Zn from Alexandria via LeMat-Bulk. Energies are from PBE-GGA.

Cell: 3.1520 4.3871 5.5180 Å, 90.00 102.19 90.00°
Space group P2/m (No. 10)
Unique sites:
1 Y 0.0000 0.0000 0.0000 (multiplicity 1)
2 Mn 0.3456 0.5000 0.7182 (multiplicity 2)
3 Zn 0.5000 0.0000 0.5000 (multiplicity 1)

Values from the calculation:
- Energy of formation from the pure elements: 0.27 eV per atom
- V: 74.6 Å³ per cell
- Magnetic moment: 6.660 μB per formula unit

=====

Here is a relaxed structure of YMnZn from Alexandria via LeMat-Bulk. Energies are from PBE-GGA.

Cell: 4.4945 4.4945 3.5113 Å, 90.00 90.00 120.00°
Space group P-6m2 (No. 187)
Unique sites:
1 Y 0.0000 0.0000 0.0000 (multiplicity 1)
2 Mn 0.3333 0.6667 0.5000 (multiplicity 1)
3 Zn 0.6667 0.3333 0.5000 (multiplicity 1)

Values from the calculation:
- Energy of formation from the pure elements: -0.04 eV per atom
- V: 61.4 Å³ per cell
- Magnetic moment: 3.139 μB per formula unit

=====

Here is a relaxed structure of YMnZn from Alexandria via LeMat-Bulk. Energies are from PBE-GGA.

Cell: 6.5142 6.5142 6.5142 Å, 90.00 90.00 90.00°
Space group F-43m (No. 216)
Unique sites:
1 Y 0.0000 0.0000 0.0000 (multiplicity 4)
2 Mn 0.0000 0.0000 0.5000 (multiplicity 4)
3 Zn 0.2500 0.2500 0.2500 (multiplicity 4)

Values from the calculation:
- Energy of formation from the pure elements: 0.26 eV per atom
- V: 276.4 Å³ per cell
- Magnetic moment: 3.684 μB per formula unit

=====

Here is a relaxed structure of YMnZn3 from Alexandria via LeMat-Bulk. Energies are from PBE-GGA.

Cell: 4.6183 4.6183 4.6183 Å, 90.00 90.00 90.00°
Space group Pm-3m (No. 221)
Unique sites:
1 Y 0.0000 0.0000 0.0000 (multiplicity 1)
2 Mn 0.5000 0.5000 0.5000 (multiplicity 1)
3 Zn 0.0000 0.5000 0.5000 (multiplicity 3)

Values from the calculation: